Truth Facts



Traveling Through Space And Star Trek

The dream of all Star Trek fans is to see science come up with a warp engine. I jokingly call myself the world’s oldest Trekkie, but I am sure there are older ones than me. The thing is none of us know if there are other technologies we should be rooting for which would be even better suited to travel through space, but Star Trek has so indoctrinated us, most of us think a warp engine would be the ultimate space engine. What has given us hope that we will develop an engine like this is the fact we were told we would never be able to travel faster than the speed of sound. Some scientists stated no aircraft could ever withstand the transition from breaking the sound barrier. When Chuck Yeager broke the sound barrier during level flight, it was equivalent to being the first to land on the moon. This is how famous he was at the time. World War II had caused great advancement in aviation and many countries were working on the first jet planes even though Germany was first to deploy them. It was said many planes broke the sound barrier in dives, but the pilots never survived, because the planes broke up. A propeller plane can’t break the sound barrier, because the tips of the propellers would cause the shock wave before the plane got through it.

Many people talk about how Star Trek influenced quite a few of the inventions we have today and indeed there is no denying it. A good idea is worth its weight in gold and the show had many of them, but how many people realize we have done some of those ideas one better? Remember the flip top communication device? It is said this is what influenced our flip top phones. When they came out they were all the rage, but today we have improved our phones to the point where they are powerful computers, so yes in this case we did the idea one better didn’t we? Other devices have been equaled such as the needless injection where injections are made with high pressure air. We have actually improved on this, since we now use patches which are painless to replace some injections. We have also equaled some of the Star Trek inventions such as anti-radiation drugs and even an equivalent to the medical tricorder, but admittedly it is not as advanced as the one pictured on the show.

As far as warp drive, science is moving forward every day even though it has a few hiccups from time to time. Scientists want to create a faster way to travel through space and are working on the problem constantly. The methods we have for space travel today are even too inefficient for travel in our solar system and practically useless outside it. There is a new type of engine science is trying to figure out. It has no exhaust, uses no fuel and has been called impossible. It seems to work but no one can figure out why so far. NASA didn’t want to test it, but did so, because of public opinion and it worked. It produced thrust using nothing but electricity and only a tiny amount of that. What makes this so attractive is the fact there is no fuel needed, the cost would be cheap and only some solar panels would be necessary to power the vehicle. It is also assumed that even this low power engine could reach the nearest star system in about 30 years if a beefed up version was made. Some have incorrectly called this engine a warp drive, but a true warp drive bends space.

**Here the page breaks off for data records:**
Diffraction record for K2CoSbO4. The powder diffractogram is computed, not measured: it uses a cell relaxed with PBE+U and Cu Ka.
Neutral-atom scattering factors, no anomalous dispersion.

```
K2CoSbO4
1.0
3.989 -3.818 0.000
3.989 3.818 0.000
-3.735 0.000 4.533
K Co Sb O
2 1 1 4
Cartesian
0.000 0.000 0.000 K
2.122 -1.929 2.267 K
2.122 2.132 2.267 Co
3.989 0.062 0.000 Sb
2.509 1.290 0.481 O
-0.323 -0.515 2.645 O
1.734 1.290 4.053 O
4.566 -0.515 1.888 O
```

Main lines, sorted by position (2θ = 10–90°):
| 2θ/deg | I/Imax |
| --- | --- |
| 18.51 | 33.0 |
| 19.16 | 49.7 |
| 29.00 | 36.4 |
| 30.64 | 100.0 |
| 32.48 | 87.5 |
| 39.77 | 24.3 |
| 45.55 | 14.0 |
| 51.16 | 27.1 |
| 53.32 | 17.1 |
| 54.85 | 14.5 |
| 56.74 | 13.9 |
| 57.73 | 17.9 |


This entry pairs a crystal structure of CoCu3P4O16 with its simulated powder diffraction line list. Radiation: Cu Kα X-rays. Structure: a PBE+U-relaxed structure.

Cell and atoms:
Cell: 5.1488 5.9850 10.0858 Å, 90.00 93.42 90.00°
Space group Pm (No. 6)
Asymmetric unit:
Co: 0.0000 0.0000 0.0000 (multiplicity 1)
Cu: 0.1857 0.5000 0.6091 (multiplicity 1)
Cu: 0.4042 0.5000 0.1076 (multiplicity 1)
Cu: 0.6918 0.0000 0.4821 (multiplicity 1)
P: 0.1380 0.0000 0.6895 (multiplicity 1)
P: 0.4999 0.0000 0.1843 (multiplicity 1)
P: 0.6033 0.5000 0.4104 (multiplicity 1)
P: 0.9891 0.5000 0.8978 (multiplicity 1)
O: 0.1944 0.0000 0.8404 (multiplicity 1)
O: 0.2778 0.1997 0.6243 (multiplicity 2)
O: 0.2873 0.5000 0.9319 (multiplicity 1)
O: 0.3121 0.5000 0.4383 (multiplicity 1)
O: 0.3291 0.1921 0.1151 (multiplicity 2)
O: 0.4578 0.0000 0.3352 (multiplicity 1)
O: 0.6234 0.5000 0.2579 (multiplicity 1)
O: 0.7627 0.3027 0.4736 (multiplicity 2)
O: 0.7867 0.0000 0.1590 (multiplicity 1)
O: 0.8404 0.0000 0.6569 (multiplicity 1)
O: 0.8576 0.2910 0.9566 (multiplicity 2)
**So much for the data records:**

Einstein said we could never travel faster than the speed of light, because as we go faster we need more fuel and he said if we wanted to travel at the speed of light there wouldn’t be enough energy in the universe to power our ship. I hope this is proved wrong, but getting back to the warp drive in Star Trek, it bent space, pulling on space in front of it and moving it closer. Yeah I know this sounds impossible. I remember one episode of one of the Star Trek variations when warp drive was banned from a certain region of space, because it was destroying it. I have a hard time envisioning how this could ever be created. Perhaps creating an engine which could make a wormhole might be possible, these are shortcuts from one place in space to another, but pulling space toward you in a manner which would make space travel faster seems impossible and very dangerous since you are disturbing the fabric of space and time.

There are other means of travel we have to consider and one is multidimensional travel. Perhaps the secret of speedy space travel lies in the ability to go through other dimensions and not warp space at all. Other dimensions may have different physical laws. If it truly is impossible for someone in our dimension to travel at the speed of light or faster, perhaps this law does not apply in another dimension. If we could figure out how to get into dimension X this could be the key. We don’t know how to do this now and we really don’t know how many other dimensions exist or even if there are more. Scientists suppose there are, but the human brain is a brain which operates in four dimensions if we include time as a dimension and it is not truly capable of understanding more, but this could change as computers get more powerful. Perhaps some super computer will solve the problem of whether these dimensions exist and how to access them.

There is a school of thought which proposes that our brains will ultimately be the engines which will allow us to go to the ends of the universe. They think we will all have much more powerful brains in the future. Our brains are evolving and so is technology, which may be used to make our brains even more powerful. Is it possible we might be able to travel to other worlds someday just by thinking about them? There are those who say the real answer is no, but we might be able to send our consciousness to these places and then return to our bodies. It would be a sort of out of body experience which many believe has happened to people who have had near death experiences. This would be ironic, because our brains would become the engines, but if it became true it seems all we would be able to do is look around without our presence being known to anyone or anything.

Attached: crystal structures >
<<<
Computed powder diffraction line list of H8Pd5Rh for copper Kα, from the PBE geometry in Alexandria.
Peak positions follow from Bragg's law for the DFT cell and can differ from measured ones.

Top 10 peaks for 2θ = 5–70°, in order of rising 2θ:
2θ (°)  I_rel  h k l
31.88  10  2 0 0
32.32  31  1 1 2
37.67  100  2 1 1
38.43  44  1 0 3
39.68  48  2 0 2
57.08  11  3 1 2
60.66  18  2 3 1
62.27  10  1 0 5
66.63  10  4 0 0
67.65  22  2 2 4

Cell and atoms:
abc: 5.6146 5.6146 7.7327
angles: 90.00 90.00 90.00
Space group I-4 (No. 82)
One atom of each set of equivalent atoms:
1 H 0.0195 0.2391 0.3744 x8
2 H 0.0247 0.2756 0.8678 x8
3 Pd 0.0000 0.0000 0.0000 x2
4 Pd 0.0397 0.2504 0.6250 x8
5 Rh 0.0000 0.5000 0.2500 x2

* * * * *

[1]
Simulated X-ray powder pattern of HPb3Cl4OF for CuKα, from a cell relaxed with GGA-PBE.
Peak positions follow from Bragg's law for the DFT cell and can differ from measured ones.

Cell: 7.3140 7.8689 17.1324 Å, 90.00 101.64 90.00°
Sites, in units of the cell vectors:
H1 0.0130 0.1106 0.2522
H2 0.0130 0.3894 0.7522
H3 0.9870 0.6106 0.2478
H4 0.9870 0.8894 0.7478
Pb1 0.2523 0.6421 0.4555
Pb2 0.2523 0.8579 0.9555
Pb3 0.2808 0.1230 0.4508
Pb4 0.2808 0.3770 0.9508
Pb5 0.3419 0.1181 0.1829
Pb6 0.3419 0.3819 0.6829
Pb7 0.6581 0.6181 0.3171
Pb8 0.6581 0.8819 0.8171
Pb9 0.7192 0.6230 0.0492
Pb10 0.7192 0.8770 0.5492
Pb11 0.7477 0.1421 0.0445
Pb12 0.7477 0.3579 0.5445
Cl1 0.0769 0.1341 0.5962
Cl2 0.0769 0.3659 0.0962
Cl3 0.0823 0.6313 0.5989
Cl4 0.0823 0.8687 0.0989
Cl5 0.3492 0.6360 0.8210
Cl6 0.3492 0.8640 0.3210
Cl7 0.3562 0.1250 0.8246
Cl8 0.3562 0.3750 0.3246
Cl9 0.6438 0.6250 0.6754
Cl10 0.6438 0.8750 0.1754
Cl11 0.6508 0.1360 0.6790
Cl12 0.6508 0.3640 0.1790
Cl13 0.9177 0.1313 0.9011
Cl14 0.9177 0.3687 0.4011
Cl15 0.9231 0.6341 0.9038
Cl16 0.9231 0.8659 0.4038
O1 0.4013 0.6145 0.0193
O2 0.4013 0.8855 0.5193
O3 0.5987 0.1145 0.4807
O4 0.5987 0.3855 0.9807
F1 0.3857 0.1206 0.0385
F2 0.3857 0.3794 0.5385
F3 0.6143 0.6206 0.4615
F4 0.6143 0.8794 0.9615

The 10 most intense peaks (2θ from 5° to 70°), by intensity:
22.29 deg, I = 100
26.89 deg, I = 97
10.54 deg, I = 97
31.78 deg, I = 93
35.26 deg, I = 89
29.06 deg, I = 68
24.85 deg, I = 68
35.12 deg, I = 57
44.24 deg, I = 45
12.37 deg, I = 45


[2]
Simulated X-ray powder pattern of Zr3Te for CuKα, from a cell relaxed with GGA-PBE.
Peak positions follow from Bragg's law for the DFT cell and can differ from measured ones.

Cell: 11.2953 11.2953 11.2953 Å, 29.19 29.19 29.19°
Sites, in units of the cell vectors:
Zr1 0.0000 0.0000 0.0000
Zr2 0.0851 0.0851 0.5882
Zr3 0.0851 0.5882 0.0851
Zr4 0.1672 0.1672 0.1672
Zr5 0.4118 0.9149 0.9149
Zr6 0.5882 0.0851 0.0851
Zr7 0.8328 0.8328 0.8328
Zr8 0.9149 0.4118 0.9149
Zr9 0.9149 0.9149 0.4118
Te1 0.3734 0.3734 0.3734
Te2 0.5000 0.5000 0.5000
Te3 0.6266 0.6266 0.6266

The 10 most intense peaks (2θ from 5° to 70°), by intensity:
35.65 deg, I = 100
39.10 deg, I = 58
28.51 deg, I = 46
36.56 deg, I = 45
31.43 deg, I = 42
65.60 deg, I = 33
>>>

I don’t know what the future holds as far as traveling to far off planets, but I do know we need more speed, a lot more speed and it may be so much it will be impossible to achieve. If science is correct and some galaxies are as far as 13+ billion light years from us, we would need to travel 13+ billion light years to get to it in a reasonable amount of time. Good luck with that. On top of all this the object may not even be there anymore since their light is 13+ billion years old meaning we are seeing them as they used to look 13+ billion years ago.